+++
Na6Mg2Nb4Si6S3O36 | PBE | optimized geometry

The structure in POSCAR format:
```
Na6Mg2Nb4Si6S3O36
1.0
-5.466 4.314 5.671
-3.062 -6.975 -4.757
6.186 -14.094 16.685
Na Mg Nb Si S O
12 4 8 12 6 72
Direct
0.967 0.679 0.916
0.712 0.033 0.916
0.321 0.288 0.916
0.967 0.288 0.416
0.321 0.033 0.416
0.712 0.679 0.416
0.000 0.000 0.493
0.000 0.000 0.993
0.667 0.333 0.827
0.667 0.333 0.327
0.333 0.667 0.162
0.333 0.667 0.662
0.000 0.000 0.353
0.000 0.000 0.853
0.667 0.333 0.681
0.667 0.333 0.181
0.000 0.000 0.639
0.000 0.000 0.139
0.667 0.333 0.983
0.667 0.333 0.483
0.333 0.667 0.023
0.333 0.667 0.523
0.333 0.667 0.315
0.333 0.667 0.815
0.955 0.339 0.587
0.385 0.045 0.587
0.661 0.615 0.587
0.955 0.615 0.087
0.661 0.045 0.087
0.385 0.339 0.087
0.624 0.666 0.917
0.042 0.376 0.917
0.334 0.958 0.917
0.624 0.958 0.417
0.334 0.376 0.417
0.042 0.666 0.417
0.291 0.001 0.251
0.710 0.709 0.251
0.999 0.290 0.251
0.291 0.290 0.751
0.999 0.709 0.751
0.710 0.001 0.751
0.207 0.012 0.306
0.805 0.793 0.306
0.988 0.195 0.306
0.207 0.195 0.806
0.988 0.793 0.806
0.805 0.012 0.806
0.800 0.981 0.699
0.181 0.200 0.699
0.019 0.819 0.699
0.800 0.819 0.199
0.019 0.200 0.199
0.181 0.981 0.199
0.880 0.372 0.645
0.492 0.120 0.645
0.628 0.508 0.645
0.880 0.508 0.145
0.628 0.120 0.145
0.492 0.372 0.145
0.465 0.302 0.025
0.837 0.535 0.025
0.698 0.163 0.025
0.465 0.163 0.525
0.698 0.535 0.525
0.837 0.302 0.525
0.527 0.696 0.971
0.169 0.473 0.971
0.304 0.831 0.971
0.527 0.831 0.471
0.304 0.473 0.471
0.169 0.696 0.471
0.138 0.631 0.359
0.493 0.862 0.359
0.369 0.507 0.359
0.138 0.507 0.859
0.369 0.862 0.859
0.493 0.631 0.859
0.020 0.832 0.410
0.811 0.980 0.410
0.168 0.189 0.410
0.020 0.189 0.910
0.168 0.980 0.910
0.811 0.832 0.910
0.975 0.163 0.593
0.187 0.025 0.593
0.837 0.813 0.593
0.975 0.813 0.093
0.837 0.025 0.093
0.187 0.163 0.093
0.687 0.150 0.747
0.463 0.313 0.747
0.850 0.537 0.747
0.687 0.537 0.247
0.850 0.313 0.247
0.463 0.150 0.247
0.631 0.487 0.921
0.856 0.369 0.921
0.513 0.144 0.921
0.631 0.144 0.421
0.513 0.369 0.421
0.856 0.487 0.421
0.347 0.496 0.073
0.149 0.653 0.073
0.504 0.851 0.073
0.347 0.851 0.573
0.504 0.653 0.573
0.149 0.496 0.573
0.302 0.836 0.253
0.534 0.698 0.253
0.164 0.466 0.253
0.302 0.466 0.753
0.164 0.698 0.753
0.534 0.836 0.753
```

Calculated values
ρ, kg/m3: 2930
Total energy, eV per atom: -7.11
Space-group type: P3c1 (158)
V, Å³/cell: 1585.6
+++
Now write out every line above that contains the word "Nb".
Na Mg Nb Si S O